Simulated PXRD pattern
Compound: MnV4F12
Radiation: copper Kα
Structure: a crystal structure in Alexandria, relaxed with PBE+U

abc: 6.795 6.795 7.653
angles: 123.99 123.99 71.76
Element x y z (fractional)
Mn (0.000, 0.000, 0.000)
V (0.000, 0.500, 0.000)
V (0.000, 0.500, 0.500)
V (0.500, 0.000, 0.000)
V (0.500, 0.000, 0.500)
F (0.001, 0.397, 0.690)
F (0.222, 0.222, 0.052)
F (0.226, 0.757, 0.811)
F (0.242, 0.242, 0.428)
F (0.243, 0.774, 0.189)
F (0.397, 0.001, 0.690)
F (0.603, 0.999, 0.310)
F (0.757, 0.226, 0.811)
F (0.758, 0.758, 0.572)
F (0.774, 0.243, 0.189)
F (0.778, 0.778, 0.948)
F (0.999, 0.603, 0.310)

Peak list (10 most intense, 10° ≤ 2θ ≤ 90°, most intense first)
d [Å]	I (rel.)
3.984	100
1.992	54
5.634	35
5.524	33
2.759	32
3.827	29
2.817	21
2.507	20
1.618	18
1.612	17

=====

Record 1
Starting from a GGA-PBE-relaxed structure, the PXRD pattern of CsZrUTe5 was computed for Cu Kα X-rays.

```
data_CsZrUTe5
_chemical_formula_sum 'Cs2 Zr2 U2 Te10'
_cell_length_a 6.334
_cell_length_b 8.645
_cell_length_c 10.570
_cell_angle_alpha 90.00
_cell_angle_beta 90.00
_cell_angle_gamma 90.00
_symmetry_space_group_name_H-M 'P 1'
_symmetry_Int_Tables_number 1
loop_
_symmetry_equiv_pos_as_xyz
'x,y,z'
loop_
_atom_site_label
_atom_site_type_symbol
_atom_site_fract_x
_atom_site_fract_y
_atom_site_fract_z
Cs1 Cs 0.250 0.000 0.219
Cs2 Cs 0.750 0.000 0.781
Zr1 Zr 0.000 0.500 0.000
Zr2 Zr 0.500 0.500 0.000
U1 U 0.250 0.500 0.665
U2 U 0.750 0.500 0.335
Te1 Te 0.000 0.262 0.500
Te2 Te 0.000 0.738 0.500
Te3 Te 0.250 0.255 0.879
Te4 Te 0.250 0.500 0.232
Te5 Te 0.250 0.745 0.879
Te6 Te 0.500 0.262 0.500
Te7 Te 0.500 0.738 0.500
Te8 Te 0.750 0.255 0.121
Te9 Te 0.750 0.500 0.768
Te10 Te 0.750 0.745 0.121
```

Most intense lines, 2θ from 15° to 90°, low angle first:
d_spacing  two_theta  intensity
4.600  19.29  45
3.346  26.64  67
3.079  29.00  36
2.959  30.21  100
2.731  32.79  56
2.717  32.97  67
2.483  36.17  80
2.161  41.80  42
1.786  51.16  30
1.691  54.24  31


Record 2
Starting from a GGA-PBE-relaxed structure, the PXRD pattern of CsV5Te8 was computed for Cu Kα X-rays.

```
data_CsV5Te8
_chemical_formula_sum 'Cs1 V5 Te8'
_cell_length_a 10.316
_cell_length_b 10.316
_cell_length_c 9.865
_cell_angle_alpha 103.46
_cell_angle_beta 103.46
_cell_angle_gamma 22.14
_symmetry_space_group_name_H-M 'P 1'
_symmetry_Int_Tables_number 1
loop_
_symmetry_equiv_pos_as_xyz
'x,y,z'
loop_
_atom_site_label
_atom_site_type_symbol
_atom_site_fract_x
_atom_site_fract_y
_atom_site_fract_z
Cs1 Cs 0.000 0.000 0.000
V1 V 0.152 0.152 0.501
V2 V 0.206 0.206 0.828
V3 V 0.499 0.499 0.500
V4 V 0.793 0.793 0.170
V5 V 0.848 0.848 0.499
Te1 Te 0.069 0.069 0.673
Te2 Te 0.259 0.259 0.348
Te3 Te 0.331 0.331 0.008
Te4 Te 0.409 0.409 0.670
Te5 Te 0.590 0.590 0.330
Te6 Te 0.668 0.668 0.991
Te7 Te 0.741 0.741 0.651
Te8 Te 0.930 0.930 0.325
```

Most intense lines, 2θ from 15° to 90°, low angle first:
d_spacing  two_theta  intensity
3.195  27.93  40
3.080  28.99  100
3.066  29.13  48
2.943  30.37  71
2.898  30.85  36
2.482  36.19  28
2.196  41.11  32
1.981  45.82  27
1.956  46.42  47
1.663  55.24  29


Record 3
Starting from a GGA-PBE-relaxed structure, the PXRD pattern of Cs2Y3Te6 was computed for Cu Kα X-rays.

```
data_Cs2Y3Te6
_chemical_formula_sum 'Cs2 Y3 Te6'
_cell_length_a 7.590
_cell_length_b 7.590
_cell_length_c 9.673
_cell_angle_alpha 97.53
_cell_angle_beta 97.53
_cell_angle_gamma 120.00
_symmetry_space_group_name_H-M 'P 1'
_symmetry_Int_Tables_number 1
loop_
_symmetry_equiv_pos_as_xyz
'x,y,z'
loop_
_atom_site_label
_atom_site_type_symbol
_atom_site_fract_x
_atom_site_fract_y
_atom_site_fract_z
Cs1 Cs 0.166 0.834 0.000
Cs2 Cs 0.834 0.166 0.000
Y1 Y 0.000 0.000 0.500
Y2 Y 0.332 0.668 0.500
Y3 Y 0.668 0.332 0.500
Te1 Te 0.067 0.397 0.692
Te2 Te 0.272 0.272 0.309
Te3 Te 0.397 0.067 0.692
Te4 Te 0.603 0.933 0.308
Te5 Te 0.728 0.728 0.691
Te6 Te 0.933 0.603 0.308
```

Most intense lines, 2θ from 15° to 90°, low angle first:
d_spacing  two_theta  intensity
3.336  26.72  100
Now say how many lines of the rows earlier on hold the word "Element", as a bare number.
1